# Input
┌──
Molecular formula: C26H48N5O16P2SSi2TeW
Method: DFT, the ωB97M-V functional and the def2-TZVPD basis

Positions of all 102 atoms, in Å:
W (0.7476, -0.1301, -0.4192)
C (4.0538, 2.4957, -2.1224)
C (3.6133, 2.2192, -0.6902)
O (4.0934, 3.1929, 0.2279)
P (4.0399, 0.5123, -0.0830)
O (4.8815, 0.6737, 1.2249)
O (4.9127, -0.2291, -1.1421)
O (2.7661, -0.2023, 0.2818)
P (1.7845, 2.4351, -0.4430)
O (1.5584, 3.9698, -0.4904)
O (0.8926, 1.7320, -1.4820)
O (1.3350, 1.6799, 0.8090)
H (5.1406, 2.4246, -2.1986)
H (3.7514, 3.5025, -2.4124)
H (3.6182, 1.7800, -2.8145)
H (4.9881, 3.4778, -0.0072)
H (5.8316, 0.4921, 1.1851)
H (4.7709, -1.2032, -1.1581)
H (2.2819, 4.5162, -0.1373)
O (-2.2759, -2.2936, 0.9772)
C (-1.2620, -2.2598, 0.3454)
O (-0.9940, -1.1788, -0.4540)
C (-0.2766, -3.3639, 0.2781)
C (-0.6029, -4.6359, 0.7353)
C (0.3303, -5.6457, 0.6269)
C (1.5885, -5.4445, 0.0852)
C (1.9118, -4.1694, -0.3260)
C (0.9872, -3.1231, -0.2564)
O (1.3415, -1.9378, -0.7373)
N (3.2526, -3.9085, -0.8766)
O (3.7059, -4.7111, -1.6439)
O (3.8073, -2.8689, -0.5279)
N (-0.0214, -7.0009, 1.1154)
O (-1.1286, -7.1330, 1.5815)
O (0.8034, -7.8655, 0.9451)
H (-1.5773, -4.8408, 1.1601)
H (2.2915, -6.2643, 0.0080)
C (-3.7140, 3.3687, 3.0390)
Si (-1.9500, 3.8693, 2.7186)
C (-0.8118, 3.0228, 3.9404)
C (-1.7222, 5.7112, 2.7440)
C (-1.4537, 3.3303, 0.9405)
Te (-1.6723, 1.2801, 0.4687)
C (-2.4895, 1.6232, -1.4555)
Si (-4.3860, 1.3149, -1.5694)
C (-4.8407, 1.7346, -3.3219)
C (-5.1968, 2.4204, -0.3169)
C (-4.6723, -0.4963, -1.1859)
H (-3.9769, 3.5878, 4.0766)
H (-3.8918, 2.2999, 2.8871)
H (-4.4090, 3.9261, 2.4088)
H (-0.8546, 3.5565, 4.8928)
H (0.2294, 3.0187, 3.6100)
H (-1.1300, 1.9963, 4.1397)
H (-2.0316, 6.1119, 3.7121)
H (-2.3282, 6.2023, 1.9800)
H (-0.6808, 6.0003, 2.5887)
H (-0.4312, 3.6359, 0.7312)
H (-2.0981, 3.8432, 0.2206)
H (-1.9531, 0.9961, -2.1619)
H (-2.2230, 2.6576, -1.6800)
H (-4.7148, 2.7990, -3.5290)
H (-5.8855, 1.4843, -3.5186)
H (-4.2314, 1.1783, -4.0388)
H (-4.9845, 3.4742, -0.5135)
H (-4.8847, 2.1888, 0.7036)
H (-6.2815, 2.2966, -0.3492)
H (-4.5871, -1.1160, -2.0823)
H (-5.6895, -0.6420, -0.8153)
H (-4.0044, -0.8974, -0.4166)
C (-0.4471, -2.5485, 3.9943)
C (-0.6035, -1.0564, 3.7778)
S (0.6721, -0.1600, 2.8863)
O (0.6096, -0.8066, 1.4387)
C (2.2389, -0.7738, 3.5416)
C (2.7110, -2.1164, 3.0047)
H (-1.3692, -2.9181, 4.4421)
H (0.3661, -2.7772, 4.6807)
H (-0.2960, -3.0806, 3.0573)
H (-0.6474, -0.5022, 4.7220)
H (-1.5095, -0.8087, 3.2173)
H (2.0804, -0.7732, 4.6243)
H (2.9467, 0.0234, 3.3107)
H (2.0405, -2.9318, 3.2604)
H (3.6800, -2.3273, 3.4579)
H (2.8424, -2.0823, 1.9254)
C (3.1881, -0.6509, -4.7486)
N (1.7784, -0.7392, -4.3233)
C (0.8035, -1.1313, -5.2037)
C (-0.4746, -1.2847, -4.8138)
C (-0.8178, -1.0201, -3.4517)
N (0.1362, -0.5118, -2.6386)
C (1.4090, -0.4602, -3.0611)
O (2.2230, -0.1623, -2.1448)
N (-2.0418, -1.2450, -3.0160)
H (3.3275, 0.2269, -5.3761)
H (3.4463, -1.5489, -5.3039)
H (3.8150, -0.5807, -3.8660)
H (1.1336, -1.3292, -6.2146)
H (-1.2268, -1.6238, -5.5105)
H (-2.7357, -1.6205, -3.6437)
H (-2.2701, -1.1502, -2.0367)

energy relative to the best compared isomer or geometry (same formula, charge and spin)	6.5	kcal/mol
net charge	+3
frontier orbital gap	0.260	hartree
E_tot	-122218.3131	eV

----------

[1]
DFT (wB97M-V/def2-TZVPD) results for a molecular structure, C23H33ClN7O4ReSi2.

Each line ends with the Löwdin spin population.
Cartesian coordinates (Å):
Re  1.745096  -0.771226  -0.260288  2.4604
O  3.601208  0.556566  -0.203282  0.0512
Cl  4.457639  -0.373854  0.546792  0.0173
O  4.961496  0.183357  1.728541  0.0061
O  3.358548  -1.339430  1.020346  0.0638
O  5.382631  -1.013329  -0.253047  0.0023
C  1.353096  2.298180  -1.487624  0.0144
Si  0.831896  1.056370  -2.797801  0.0159
C  2.343841  0.742891  -3.794010  0.0032
C  -0.743863  1.639232  -3.600313  0.0040
N  0.724742  -0.517076  -1.890426  0.0313
C  -0.083517  -1.627457  -2.342786  0.0360
C  -0.698581  -1.776055  -3.603562  -0.0025
C  -1.566575  -2.862898  -3.794158  0.0156
└──
# To do
It remains to start at the top of the calculation results above and copy each line, ending with the one that has "2.5887)".
# Outcome
Molecular formula: C26H48N5O16P2SSi2TeW
Method: DFT, the ωB97M-V functional and the def2-TZVPD basis

Positions of all 102 atoms, in Å:
W (0.7476, -0.1301, -0.4192)
C (4.0538, 2.4957, -2.1224)
C (3.6133, 2.2192, -0.6902)
O (4.0934, 3.1929, 0.2279)
P (4.0399, 0.5123, -0.0830)
O (4.8815, 0.6737, 1.2249)
O (4.9127, -0.2291, -1.1421)
O (2.7661, -0.2023, 0.2818)
P (1.7845, 2.4351, -0.4430)
O (1.5584, 3.9698, -0.4904)
O (0.8926, 1.7320, -1.4820)
O (1.3350, 1.6799, 0.8090)
H (5.1406, 2.4246, -2.1986)
H (3.7514, 3.5025, -2.4124)
H (3.6182, 1.7800, -2.8145)
H (4.9881, 3.4778, -0.0072)
H (5.8316, 0.4921, 1.1851)
H (4.7709, -1.2032, -1.1581)
H (2.2819, 4.5162, -0.1373)
O (-2.2759, -2.2936, 0.9772)
C (-1.2620, -2.2598, 0.3454)
O (-0.9940, -1.1788, -0.4540)
C (-0.2766, -3.3639, 0.2781)
C (-0.6029, -4.6359, 0.7353)
C (0.3303, -5.6457, 0.6269)
C (1.5885, -5.4445, 0.0852)
C (1.9118, -4.1694, -0.3260)
C (0.9872, -3.1231, -0.2564)
O (1.3415, -1.9378, -0.7373)
N (3.2526, -3.9085, -0.8766)
O (3.7059, -4.7111, -1.6439)
O (3.8073, -2.8689, -0.5279)
N (-0.0214, -7.0009, 1.1154)
O (-1.1286, -7.1330, 1.5815)
O (0.8034, -7.8655, 0.9451)
H (-1.5773, -4.8408, 1.1601)
H (2.2915, -6.2643, 0.0080)
C (-3.7140, 3.3687, 3.0390)
Si (-1.9500, 3.8693, 2.7186)
C (-0.8118, 3.0228, 3.9404)
C (-1.7222, 5.7112, 2.7440)
C (-1.4537, 3.3303, 0.9405)
Te (-1.6723, 1.2801, 0.4687)
C (-2.4895, 1.6232, -1.4555)
Si (-4.3860, 1.3149, -1.5694)
C (-4.8407, 1.7346, -3.3219)
C (-5.1968, 2.4204, -0.3169)
C (-4.6723, -0.4963, -1.1859)
H (-3.9769, 3.5878, 4.0766)
H (-3.8918, 2.2999, 2.8871)
H (-4.4090, 3.9261, 2.4088)
H (-0.8546, 3.5565, 4.8928)
H (0.2294, 3.0187, 3.6100)
H (-1.1300, 1.9963, 4.1397)
H (-2.0316, 6.1119, 3.7121)
H (-2.3282, 6.2023, 1.9800)
H (-0.6808, 6.0003, 2.5887)